• What to do:
What is needed: reproduce everything further below with every line break kept.

• Listing:
Diffraction record for Be2Ni5. The PXRD pattern is calculated, not measured: it uses a DFT-relaxed cell (GGA-PBE, Alexandria) and Cu Kα (λ = 1.5418 Å).

Largest 8 diffraction maxima, in order of rising 2θ, 5 to 70 degrees two-theta:
- 2θ 35.45, rel. 71, hkl 1 3 1
- 2θ 41.59, rel. 76, hkl 0 2 2
- 2θ 42.35, rel. 83, hkl 1 1 2
- 2θ 45.42, rel. 72, hkl 1 5 0
- 2θ 47.40, rel. 73, hkl 2 4 0
- 2θ 50.57, rel. 45, hkl 3 1 0
- 2θ 50.86, rel. 81, hkl 2 0 2
- 2θ 51.44, rel. 100, hkl 0 4 2

Crystal structure
Unit cell a=5.4935 b=10.7174 c=4.7440 alpha=90.00 beta=90.00 gamma=90.00
Space group Cccm (No. 66)
Unique sites:
Be 0.2281 0.1231 0.0000 (multiplicity 8)
Ni 0.0000 0.2704 0.2500 (multiplicity 8)
Ni 0.0000 0.5000 0.2500 (multiplicity 4)
Ni 0.1612 0.0874 0.5000 (multiplicity 8)

* * * * *

This entry pairs a crystal structure of NdTlSe2 with its simulated PXRD pattern. Radiation: λ = 1.5418 Å (Cu Kα). Structure: a structure optimized by DFT (GGA-PBE).
Intensities are scaled so that the largest is 100.

Most intense lines, 2θ from 15° to 90°, sorted by position:
hkl, 2theta, d/Å, I_rel
0 0 6, 22.87, 3.888, 9
0 1 2, 24.94, 3.571, 19
1 0 4, 28.29, 3.155, 100
0 1 8, 39.13, 2.302, 38
1 1 0, 41.71, 2.166, 36
0 2 4, 51.16, 1.785, 19
2 0 8, 58.51, 1.577, 12
1 1 12, 64.40, 1.447, 15
2 1 4, 68.06, 1.378, 17
1 2 8, 74.40, 1.275, 12

Structure:
```
data_NdTlSe2
_cell_length_a 4.3313
_cell_length_b 4.3313
_cell_length_c 23.3309
_cell_angle_alpha 90.00
_cell_angle_beta 90.00
_cell_angle_gamma 120.00
_symmetry_space_group_name_H-M 'R -3 m'
_symmetry_Int_Tables_number 166
_symmetry_space_group_name_Hall '-R 3 2"'
loop_
_atom_site_label
_atom_site_fract_x
_atom_site_fract_y
_atom_site_fract_z
Nd1 0.0000 0.0000 0.0000
Tl1 0.0000 0.0000 0.5000
Se1 0.0000 0.0000 0.2633
```

---

This entry pairs a crystal structure of LiAl2H4Pb2O4F6 with its simulated PXRD pattern. Radiation: λ = 1.5418 Å (Cu Kα). Structure: a structure optimized by DFT (GGA-PBE).
Intensities are scaled so that the largest is 100.

Most intense lines, 2θ from 15° to 90°, sorted by position:
hkl, 2theta, d/Å, I_rel
1 0 0, 18.46, 4.807, 100
1 0 -1, 20.36, 4.362, 57
0 1 1, 22.20, 4.004, 52
1 1 -1, 23.26, 3.824, 43
0 0 2, 26.53, 3.360, 67
0 2 0, 26.65, 3.345, 48
0 2 -2, 29.11, 3.067, 53
1 -2 1, 29.52, 3.026, 48
1 2 0, 35.37, 2.538, 47
0 3 -1, 37.02, 2.428, 39

Structure:
```
data_LiAl2H4Pb2O4F6
_cell_length_a 4.944
_cell_length_b 7.351
_cell_length_c 7.422
_cell_angle_alpha 112.24
_cell_angle_beta 98.59
_cell_angle_gamma 96.35
_symmetry_space_group_name_H-M 'P 1'
_symmetry_Int_Tables_number 1
loop_
_symmetry_equiv_pos_as_xyz
'x,y,z'
loop_
_atom_site_label
_atom_site_fract_x
_atom_site_fract_y
_atom_site_fract_z
Li1 0.000 0.000 0.000
Al1 0.354 0.311 0.332
Al2 0.659 0.678 0.670
H1 0.186 0.487 0.659
H2 0.247 0.838 0.625
H3 0.764 0.148 0.379
H4 0.825 0.501 0.342
Pb1 0.400 0.766 0.244
Pb2 0.595 0.223 0.758
O1 0.360 0.462 0.610
O2 0.434 0.845 0.591
O3 0.576 0.142 0.411
O4 0.651 0.527 0.392
F1 0.050 0.121 0.291
F2 0.109 0.456 0.255
F3 0.364 0.178 0.072
F4 0.647 0.811 0.929
F5 0.901 0.531 0.746
F6 0.961 0.868 0.711
```

* * * * *

Calculated PXRD pattern of Cd3Pb5O12 for Cu Kα (weighted mean of Kα1 and Kα2), from a cell relaxed with PBE.

Top 8 peaks for 5° ≤ 2θ ≤ 70°, most intense first:
30.6 deg, intensity 100; 54.5 deg, intensity 46; 43.9 deg, intensity 23; 63.8 deg, intensity 14; 21.5 deg, intensity 6; 49.4 deg, intensity 3; 15.2 deg, intensity 2; 40.9 deg, intensity 2

```
20
Lattice="-4.127 4.127 4.127 4.127 -4.127 4.127 4.127 4.127 -4.127" Properties=species:S:1:pos:R:3 pbc="T T T"
Cd 4.127 0.000 0.000
Cd 0.000 4.127 0.000
Cd 0.000 0.000 4.127
Pb 0.000 0.000 0.000
Pb 2.064 2.064 -2.064
Pb 2.064 -2.064 2.064
Pb -2.064 2.064 2.064
Pb 2.064 2.064 2.064
O 4.127 2.610 -1.642
O 2.485 0.000 1.517
O 5.769 0.000 1.517
O 1.517 2.485 0.000
O 2.610 -1.642 4.127
O 0.000 1.517 2.485
O 4.127 2.610 1.642
O 1.517 5.769 0.000
O 2.610 1.642 4.127
O -1.642 4.127 2.610
O 1.642 4.127 2.610
O 0.000 1.517 5.769
```

• Outcome:
Diffraction record for Be2Ni5. The PXRD pattern is calculated, not measured: it uses a DFT-relaxed cell (GGA-PBE, Alexandria) and Cu Kα (λ = 1.5418 Å).

Largest 8 diffraction maxima, in order of rising 2θ, 5 to 70 degrees two-theta:
- 2θ 35.45, rel. 71, hkl 1 3 1
- 2θ 41.59, rel. 76, hkl 0 2 2
- 2θ 42.35, rel. 83, hkl 1 1 2
- 2θ 45.42, rel. 72, hkl 1 5 0
- 2θ 47.40, rel. 73, hkl 2 4 0
- 2θ 50.57, rel. 45, hkl 3 1 0
- 2θ 50.86, rel. 81, hkl 2 0 2
- 2θ 51.44, rel. 100, hkl 0 4 2

Crystal structure
Unit cell a=5.4935 b=10.7174 c=4.7440 alpha=90.00 beta=90.00 gamma=90.00
Space group Cccm (No. 66)
Unique sites:
Be 0.2281 0.1231 0.0000 (multiplicity 8)
Ni 0.0000 0.2704 0.2500 (multiplicity 8)
Ni 0.0000 0.5000 0.2500 (multiplicity 4)
Ni 0.1612 0.0874 0.5000 (multiplicity 8)

* * * * *

This entry pairs a crystal structure of NdTlSe2 with its simulated PXRD pattern. Radiation: λ = 1.5418 Å (Cu Kα). Structure: a structure optimized by DFT (GGA-PBE).
Intensities are scaled so that the largest is 100.

Most intense lines, 2θ from 15° to 90°, sorted by position:
hkl, 2theta, d/Å, I_rel
0 0 6, 22.87, 3.888, 9
0 1 2, 24.94, 3.571, 19
1 0 4, 28.29, 3.155, 100
0 1 8, 39.13, 2.302, 38
1 1 0, 41.71, 2.166, 36
0 2 4, 51.16, 1.785, 19
2 0 8, 58.51, 1.577, 12
1 1 12, 64.40, 1.447, 15
2 1 4, 68.06, 1.378, 17
1 2 8, 74.40, 1.275, 12

Structure:
```
data_NdTlSe2
_cell_length_a 4.3313
_cell_length_b 4.3313
_cell_length_c 23.3309
_cell_angle_alpha 90.00
_cell_angle_beta 90.00
_cell_angle_gamma 120.00
_symmetry_space_group_name_H-M 'R -3 m'
_symmetry_Int_Tables_number 166
_symmetry_space_group_name_Hall '-R 3 2"'
loop_
_atom_site_label
_atom_site_fract_x
_atom_site_fract_y
_atom_site_fract_z
Nd1 0.0000 0.0000 0.0000
Tl1 0.0000 0.0000 0.5000
Se1 0.0000 0.0000 0.2633
```

---

This entry pairs a crystal structure of LiAl2H4Pb2O4F6 with its simulated PXRD pattern. Radiation: λ = 1.5418 Å (Cu Kα). Structure: a structure optimized by DFT (GGA-PBE).
Intensities are scaled so that the largest is 100.

Most intense lines, 2θ from 15° to 90°, sorted by position:
hkl, 2theta, d/Å, I_rel
1 0 0, 18.46, 4.807, 100
1 0 -1, 20.36, 4.362, 57
0 1 1, 22.20, 4.004, 52
1 1 -1, 23.26, 3.824, 43
0 0 2, 26.53, 3.360, 67
0 2 0, 26.65, 3.345, 48
0 2 -2, 29.11, 3.067, 53
1 -2 1, 29.52, 3.026, 48
1 2 0, 35.37, 2.538, 47
0 3 -1, 37.02, 2.428, 39

Structure:
```
data_LiAl2H4Pb2O4F6
_cell_length_a 4.944
_cell_length_b 7.351
_cell_length_c 7.422
_cell_angle_alpha 112.24
_cell_angle_beta 98.59
_cell_angle_gamma 96.35
_symmetry_space_group_name_H-M 'P 1'
_symmetry_Int_Tables_number 1
loop_
_symmetry_equiv_pos_as_xyz
'x,y,z'
loop_
_atom_site_label
_atom_site_fract_x
_atom_site_fract_y
_atom_site_fract_z
Li1 0.000 0.000 0.000
Al1 0.354 0.311 0.332
Al2 0.659 0.678 0.670
H1 0.186 0.487 0.659
H2 0.247 0.838 0.625
H3 0.764 0.148 0.379
H4 0.825 0.501 0.342
Pb1 0.400 0.766 0.244
Pb2 0.595 0.223 0.758
O1 0.360 0.462 0.610
O2 0.434 0.845 0.591
O3 0.576 0.142 0.411
O4 0.651 0.527 0.392
F1 0.050 0.121 0.291
F2 0.109 0.456 0.255
F3 0.364 0.178 0.072
F4 0.647 0.811 0.929
F5 0.901 0.531 0.746
F6 0.961 0.868 0.711
```

* * * * *

Calculated PXRD pattern of Cd3Pb5O12 for Cu Kα (weighted mean of Kα1 and Kα2), from a cell relaxed with PBE.

Top 8 peaks for 5° ≤ 2θ ≤ 70°, most intense first:
30.6 deg, intensity 100; 54.5 deg, intensity 46; 43.9 deg, intensity 23; 63.8 deg, intensity 14; 21.5 deg, intensity 6; 49.4 deg, intensity 3; 15.2 deg, intensity 2; 40.9 deg, intensity 2

```
20
Lattice="-4.127 4.127 4.127 4.127 -4.127 4.127 4.127 4.127 -4.127" Properties=species:S:1:pos:R:3 pbc="T T T"
Cd 4.127 0.000 0.000
Cd 0.000 4.127 0.000
Cd 0.000 0.000 4.127
Pb 0.000 0.000 0.000
Pb 2.064 2.064 -2.064
Pb 2.064 -2.064 2.064
Pb -2.064 2.064 2.064
Pb 2.064 2.064 2.064
O 4.127 2.610 -1.642
O 2.485 0.000 1.517
O 5.769 0.000 1.517
O 1.517 2.485 0.000
O 2.610 -1.642 4.127
O 0.000 1.517 2.485
O 4.127 2.610 1.642
O 1.517 5.769 0.000
O 2.610 1.642 4.127
O -1.642 4.127 2.610
O 1.642 4.127 2.610
O 0.000 1.517 5.769
```